**Job**
Your job: retype the calculation results further below exactly.

**Excerpt**
'''
The following is a DFT calculation (PBE) of crystalline LiMnCuSb at its relaxed geometry.

Properties
* total moment: 3.61 μB per formula unit

Lattice parameters (Å, degrees): 6.308 6.308 6.308 90.00 90.00 90.00
Space group F-43m (No. 216)
Symmetry-distinct sites (fractional):
Li 0.000 0.000 0.000 (multiplicity 4)
Mn 0.000 0.000 0.500 (multiplicity 4)
Cu 0.250 0.250 0.250 (multiplicity 4)
Sb 0.250 0.250 0.750 (multiplicity 4)

=====

The following is a DFT calculation (PBE) of crystalline La2Nd4Dy at its relaxed geometry.

Properties
* formation energy: 0.21 eV per atom
* total moment: 0.00 μB per formula unit
* polymorph energy (0 for the lowest one): 0.155 eV/atom

Lattice parameters (Å, degrees): 6.929 11.719 12.428 90.00 90.00 90.00
Space group Imma (No. 74)
Symmetry-distinct sites (fractional):
La 0.000 0.000 0.000 (multiplicity 4)
La 0.000 0.250 0.222 (multiplicity 4)
Nd 0.000 0.008 0.643 (multiplicity 8)
Nd 0.223 0.250 0.491 (multiplicity 8)
Dy 0.250 0.250 0.750 (multiplicity 4)

=====

The following is a DFT calculation (PBE) of crystalline Mg3ZnF at its relaxed geometry.

Properties
* total moment: 0.00 μB per formula unit
* polymorph energy (0 for the lowest one): 0.457 eV/atom

Lattice parameters (Å, degrees): 5.001 5.001 5.001 90.00 90.00 90.00
Space group Pm-3m (No. 221)
Symmetry-distinct sites (fractional):
Mg 0.000 0.000 0.500 (multiplicity 3)
Zn 0.000 0.000 0.000 (multiplicity 1)
F 0.500 0.500 0.500 (multiplicity 1)

=====

The following is a DFT calculation (PBE) of crystalline TmHfSc2As4 at its relaxed geometry.

Properties
* formation energy: -1.32 eV per atom
* total moment: 0.00 μB per formula unit

Lattice parameters (Å, degrees): 6.748 3.908 6.772 90.00 109.34 90.00
Space group P2/m (No. 10)
Symmetry-distinct sites (fractional):
Tm 0.000 0.000 0.000 (multiplicity 1)
Hf 0.000 0.500 0.500 (multiplicity 1)
Sc 0.500 0.000 0.500 (multiplicity 1)
Sc 0.500 0.500 0.000 (multiplicity 1)
As 0.252 0.000 0.744 (multiplicity 2)
As 0.257 0.500 0.259 (multiplicity 2)

=====

The following is a DFT calculation (PBE) of crystalline Li6Mg3Zn at its relaxed geometry.

Properties
* formation energy: -0.06 eV per atom
* total moment: 0.00 μB per formula unit
* polymorph energy (0 for the lowest one): 0.000 eV/atom

Lattice parameters (Å, degrees): 8.112 4.783 10.195 90.00 107.88 90.00
Space group P2_1/m (No. 11)
Symmetry-distinct sites (fractional):
Li 0.039 0.250 0.392 (multiplicity 2)
Li 0.128 0.750 0.176 (multiplicity 2)
Li 0.145 0.250 0.699 (multiplicity 2)
Li 0.221 0.250 0.992 (multiplicity 2)
Li 0.337 0.750 0.796 (multiplicity 2)
Li 0.444 0.250 0.605 (multiplicity 2)
Mg 0.254 0.750 0.490 (multiplicity 2)
Mg 0.339 0.250 0.294 (multiplicity 2)
Mg 0.440 0.750 0.091 (multiplicity 2)
Zn 0.051 0.750 0.892 (multiplicity 2)

=====

The following is a DFT calculation (PBE) of crystalline NaTl3Hg at its relaxed geometry.

Properties
* formation energy: -0.09 eV per atom
* total moment: 0.00 μB per formula unit
* polymorph energy (0 for the lowest one): 0.000 eV/atom

Lattice parameters (Å, degrees): 8.358 6.733 10.679 90.00 105.87 90.00
Space group P2_1/c (No. 14)
Symmetry-distinct sites (fractional):
Na 0.226 0.005 0.311 (multiplicity 4)
Tl 0.008 0.249 0.502 (multiplicity 4)
Tl 0.204 0.504 0.298 (multiplicity 4)
Tl 0.400 0.734 0.599 (multiplicity 4)
Hg 0.397 0.243 0.605 (multiplicity 4)

=====

The following is a DFT calculation (PBE) of crystalline ZrNbPd at its relaxed geometry.

Properties
* formation energy: -0.27 eV per atom
* total moment: 0.00 μB per formula unit
* polymorph energy (0 for the lowest one): 0.142 eV/atom

Lattice parameters (Å, degrees): 5.292 9.141 9.403 90.00 90.00 90.00
Space group Fmmm (No. 69)
Symmetry-distinct sites (fractional):
Zr 0.000 0.000 0.154 (multiplicity 8)
Nb 0.000 0.151 0.500 (multiplicity 8)
Pd 0.250 0.250 0.250 (multiplicity 8)

=====

The following is a DFT calculation (PBE) of crystalline Al2ZnHg at its relaxed geometry.

Properties
* formation energy: 0.14 eV per atom
'''

**Done**
The following is a DFT calculation (PBE) of crystalline LiMnCuSb at its relaxed geometry.

Properties
* total moment: 3.61 μB per formula unit

Lattice parameters (Å, degrees): 6.308 6.308 6.308 90.00 90.00 90.00
Space group F-43m (No. 216)
Symmetry-distinct sites (fractional):
Li 0.000 0.000 0.000 (multiplicity 4)
Mn 0.000 0.000 0.500 (multiplicity 4)
Cu 0.250 0.250 0.250 (multiplicity 4)
Sb 0.250 0.250 0.750 (multiplicity 4)

=====

The following is a DFT calculation (PBE) of crystalline La2Nd4Dy at its relaxed geometry.

Properties
* formation energy: 0.21 eV per atom
* total moment: 0.00 μB per formula unit
* polymorph energy (0 for the lowest one): 0.155 eV/atom

Lattice parameters (Å, degrees): 6.929 11.719 12.428 90.00 90.00 90.00
Space group Imma (No. 74)
Symmetry-distinct sites (fractional):
La 0.000 0.000 0.000 (multiplicity 4)
La 0.000 0.250 0.222 (multiplicity 4)
Nd 0.000 0.008 0.643 (multiplicity 8)
Nd 0.223 0.250 0.491 (multiplicity 8)
Dy 0.250 0.250 0.750 (multiplicity 4)

=====

The following is a DFT calculation (PBE) of crystalline Mg3ZnF at its relaxed geometry.

Properties
* total moment: 0.00 μB per formula unit
* polymorph energy (0 for the lowest one): 0.457 eV/atom

Lattice parameters (Å, degrees): 5.001 5.001 5.001 90.00 90.00 90.00
Space group Pm-3m (No. 221)
Symmetry-distinct sites (fractional):
Mg 0.000 0.000 0.500 (multiplicity 3)
Zn 0.000 0.000 0.000 (multiplicity 1)
F 0.500 0.500 0.500 (multiplicity 1)

=====

The following is a DFT calculation (PBE) of crystalline TmHfSc2As4 at its relaxed geometry.

Properties
* formation energy: -1.32 eV per atom
* total moment: 0.00 μB per formula unit

Lattice parameters (Å, degrees): 6.748 3.908 6.772 90.00 109.34 90.00
Space group P2/m (No. 10)
Symmetry-distinct sites (fractional):
Tm 0.000 0.000 0.000 (multiplicity 1)
Hf 0.000 0.500 0.500 (multiplicity 1)
Sc 0.500 0.000 0.500 (multiplicity 1)
Sc 0.500 0.500 0.000 (multiplicity 1)
As 0.252 0.000 0.744 (multiplicity 2)
As 0.257 0.500 0.259 (multiplicity 2)

=====

The following is a DFT calculation (PBE) of crystalline Li6Mg3Zn at its relaxed geometry.

Properties
* formation energy: -0.06 eV per atom
* total moment: 0.00 μB per formula unit
* polymorph energy (0 for the lowest one): 0.000 eV/atom

Lattice parameters (Å, degrees): 8.112 4.783 10.195 90.00 107.88 90.00
Space group P2_1/m (No. 11)
Symmetry-distinct sites (fractional):
Li 0.039 0.250 0.392 (multiplicity 2)
Li 0.128 0.750 0.176 (multiplicity 2)
Li 0.145 0.250 0.699 (multiplicity 2)
Li 0.221 0.250 0.992 (multiplicity 2)
Li 0.337 0.750 0.796 (multiplicity 2)
Li 0.444 0.250 0.605 (multiplicity 2)
Mg 0.254 0.750 0.490 (multiplicity 2)
Mg 0.339 0.250 0.294 (multiplicity 2)
Mg 0.440 0.750 0.091 (multiplicity 2)
Zn 0.051 0.750 0.892 (multiplicity 2)

=====

The following is a DFT calculation (PBE) of crystalline NaTl3Hg at its relaxed geometry.

Properties
* formation energy: -0.09 eV per atom
* total moment: 0.00 μB per formula unit
* polymorph energy (0 for the lowest one): 0.000 eV/atom

Lattice parameters (Å, degrees): 8.358 6.733 10.679 90.00 105.87 90.00
Space group P2_1/c (No. 14)
Symmetry-distinct sites (fractional):
Na 0.226 0.005 0.311 (multiplicity 4)
Tl 0.008 0.249 0.502 (multiplicity 4)
Tl 0.204 0.504 0.298 (multiplicity 4)
Tl 0.400 0.734 0.599 (multiplicity 4)
Hg 0.397 0.243 0.605 (multiplicity 4)

=====

The following is a DFT calculation (PBE) of crystalline ZrNbPd at its relaxed geometry.

Properties
* formation energy: -0.27 eV per atom
* total moment: 0.00 μB per formula unit
* polymorph energy (0 for the lowest one): 0.142 eV/atom

Lattice parameters (Å, degrees): 5.292 9.141 9.403 90.00 90.00 90.00
Space group Fmmm (No. 69)
Symmetry-distinct sites (fractional):
Zr 0.000 0.000 0.154 (multiplicity 8)
Nb 0.000 0.151 0.500 (multiplicity 8)
Pd 0.250 0.250 0.250 (multiplicity 8)

=====

The following is a DFT calculation (PBE) of crystalline Al2ZnHg at its relaxed geometry.

Properties
* formation energy: 0.14 eV per atom